On The Wedding Night In The 80s, The Sweet Wife Has Space - Chapter 13

Chapter 13

Chapter 13 I can't stop my mouth if I have food

Yunmo explained calmly, "Sister-in-law, I don't have meat or vegetable tickets, so the price is more expensive than others."

Li Li didn't expect this to happen again, and was choked up for a while.

"Sister-in-law, didn't you say that in the morning, the two families eat together, and the expenses are shared equally by the two families, so look at the money for meat and vegetables today..."

"You bought the meat and vegetables by yourself. At such an expensive price, you can eat it yourself. I can't afford it!"

After finishing speaking, Li Li took out the meat and vegetables that Yunmo bought at noon, and stuffed them into Yunmo's arms.

Yunmo hugged the meat and vegetables, with a troubled expression on her face, "Sister-in-law, how can I eat so much meat and vegetables by myself? It's so hot, it will go bad after a long time, let's share it together."

"Whoever wants to share with you, you buy what you eat yourself!"

After finishing speaking, Li Li picked up her son and went back to the house, closing the door loudly, fearing that she would be dragged by Yunmo and be wronged.


Yunmo lowered her head, facing Ling Chunhua's worried little face, she couldn't help but smile knowingly.

She made a booing motion and brought Ling Chunhua outside, then took out a big white rabbit, peeled off the candy wrapper, and fed the milky white candy body to Ling Chunhua's mouth.

"Eat it, I specially reserved it for you."

"Thank you, Auntie."

Smelling the scent of toffee, Ling Chunhua's eyes lit up, but she didn't open her mouth immediately. Instead, she took the candy with her hand, bit half of it lightly, and then handed back the other half to Yunmo.

"Auntie, you eat too."


Yunmo took half of the candy and put it in her mouth, and dragged Ling Chunhua into the kitchen.

Yunmo asked Ling Chunhua to help raise the fire of the stove, while she turned around and took advantage of the time to scoop water, poured some spiritual spring water into the gourd ladle, then poured it into the pot with clean water, and when the water boiled, put the two Put a piece of cabbage in the pot, boil it until it is raw, pick it up, and let it dry for later use.

"Chunhua, do you have an empty jar at home?"


Ling Chunhua quickly brought her a one-foot-high clay pot.

Yunmo took the pot and looked at it. The size was right, but there was some water in it, and it didn't smell bad.

"What was this used for?"

"Mom used to soak salted duck eggs. When the duck eggs are finished, this jar will be empty."

Yunmo washed the earthenware pots, put them in the yard to dry, and then put the blanched cabbage water in a pot and let it cool for later use.

After finishing these, Yunmo washed the potatoes and pork, cut them into thumb-sized pieces, and prepared to cook potatoes and pork.

Half an hour later, the roasted pork with potatoes came out of the pot, and the strong smell of meat immediately filled the small courtyard, and even Li Li in the room was so greedy that she swallowed her saliva.

"I want to eat meat! Whoa, I want to eat meat!"

Just as Yunmo was walking towards her room carrying the stewed pork with potatoes, she heard Ling Jiale's crying coming from Li Li's room.

She and Chunhua couldn't finish the big pot of roasted pork with potatoes, so why don't you share some with your little nephew.

Just as this thought flashed through Yunmo's mind, she heard Li Li coaxing Ling Jiale from the room.

"Whoever eats it will lose his mouth. Let's not eat it. Be good. Mom will fry steamed buns for you tomorrow."

You are the only one with bad mouth, your whole family is bad mouth.

Yunmo stared angrily at the window of Li Li's house, then turned to Ling Chunhua and said, "Chunhua, let's go back to the house to eat meat."

== Next to the page, the page also holds materials data ==
{"formula": "ScBi2PdO6", "functional": "PBE", "state": "relaxed", "lattice_angstrom": [[5.625, 0.000, 0.000], [-0.023, 5.805, 0.000], [-2.731, -2.834, 4.286]], "species": ["Sc", "Bi", "Bi", "Pd", "O", "O", "O", "O", "O", "O"], "frac_coords": [[0.000, 0.000, 0.000], [0.275, 0.837, 0.556], [0.788, 0.347, 0.566], [0.494, 0.478, 0.982], [0.139, 0.175, 0.461], [0.198, 0.678, 0.026], [0.335, 0.192, 0.030], [0.645, 0.696, 0.858], [0.725, 0.213, 0.876], [0.855, 0.704, 0.510]], "e_form_raw_mev_per_atom": -1502, "e_tot_ev_per_atom": -6.406, "space_group": "P1 (1)", "magnetic_moment_mub_per_cell": 1.01}

---

{"formula": "ScBiPdO6", "functional": "PBE", "state": "relaxed", "lattice_angstrom": [[4.830, 0.000, 0.000], [0.000, 4.830, 0.000], [0.000, 0.000, 9.782]], "species": ["Sc", "Sc", "Bi", "Bi", "Pd", "Pd", "O", "O", "O", "O", "O", "O", "O", "O", "O", "O", "O", "O"], "frac_coords": [[0.000, 0.000, 0.000], [0.500, 0.500, 0.500], [0.000, 0.000, 0.667], [0.500, 0.500, 0.167], [0.000, 0.000, 0.333], [0.500, 0.500, 0.833], [0.185, 0.185, 0.170], [0.190, 0.190, 0.491], [0.202, 0.202, 0.837], [0.298, 0.702, 0.337], [0.310, 0.690, 0.991], [0.315, 0.685, 0.670], [0.685, 0.315, 0.670], [0.690, 0.310, 0.991], [0.702, 0.298, 0.337], [0.798, 0.798, 0.837], [0.810, 0.810, 0.491], [0.815, 0.815, 0.170]], "e_form_raw_mev_per_atom": -1367, "e_tot_ev_per_atom": -6.384, "space_group": "P4_2nm (102)", "magnetic_moment_mub_per_cell": 0.00}

---

{"formula": "ScBiPd2O", "functional": "PBE", "state": "relaxed", "lattice_angstrom": [[5.164, 0.000, 0.000], [0.000, 5.164, 0.000], [0.000, 0.000, 3.815]], "species": ["Sc", "Bi", "Pd", "Pd", "O"], "frac_coords": [[0.000, 0.000, 0.000], [0.500, 0.500, 0.500], [0.000, 0.500, 0.000], [0.500, 0.000, 0.000], [0.000, 0.000, 0.500]], "e_form_raw_mev_per_atom": -638, "e_tot_ev_per_atom": -5.749, "space_group": "P4/mmm (123)", "magnetic_moment_mub_per_cell": 0.00}

---

Ling Chunhua nodded heavily, looking at Yunmo with sparkling eyes.

Auntie is not only good-looking, but also cooks delicious dishes, which is amazing!

I don't know if they heard Yunmo's words. The two of them had just entered the room, before they had time to sit down and eat, Li Li yelled and cursed from outside.

"Chunhua! Where did you die? You haven't come back to wash the dishes, you know how to be lazy every day, you won't be lazy!"

"Auntie, I'm going back first!"

Seeing Ling Chunhua's nervousness and fear, Yunmo had no choice but to squeeze a piece of meat into Ling Chunhua's mouth.

"Go back and wash the dishes first, then come over quietly later, I'll keep them for you."

Ling Chunhua swallowed the meat in two or three gulps, wiped her mouth before turning around and running out.

"If you eat, you will know how to eat. Are you a dog who can't get enough to eat? You will follow whoever gives you meat!"

Li Li outside was still pointing at Sang and Huai, but Yun Moquan couldn't hear her, eating a bite of potatoes and meat with relish.

Conditions are limited. Ling's kitchen only has three seasonings: oil, salt and soy sauce, but with the blessing of spiritual spring water, even simple cooking can make the most delicious dishes.

After she was full, she rested for a while, and Yunmo went out to pickle the cabbage in an earthen pot to make sauerkraut, but when she went out, she found that the earthen pot was gone, and the cabbage water she used to pickle the sauerkraut in the basin was also destroyed. Dumped.

Knowing who did it without asking, Yun Mo was very angry.

It's too late at this point, and I can't go out to buy a pickled cabbage jar. The cabbage has been boiled until it's raw, and if it's not pickled in time, it will go bad tomorrow.

Yunmo had no choice but to find a Ming Dynasty blue and white porcelain jar from the space, and pickled two cabbages with Lingquan water.

Blue and white porcelain from the Ming Dynasty is hard to come by, and this one is top-grade. Yunmo was worried that it would be accidentally damaged in the kitchen, so she deliberately carried it into her room.

The next day, Yunmo was awakened by Ling Chunhua's knock on the door while she was still asleep.

"Auntie, Mom asked me to wake you up and make breakfast."

Yunmo glanced sleepily at the gray sky outside the window, yawned and got up from the bed.

After washing up, Yunmo went to the kitchen for a tour, and went back to the house to get the change and went to the street corner to buy some vegetable buns, plus 5 cents of soy milk.

When she went back, Li Li saw the steamed stuffed bun soy milk in her hand, and she couldn't help saying something weird.

"Siblings really know how to enjoy themselves. Yesterday morning, I ate steamed buns. In the evening, I ate a big pot of potatoes and pork. This morning, I had steamed stuffed buns with soy milk. I don't know, but I thought our Ling family got rich."

Some people are just cheap, and they can't stop their mouths if they have food.

"It turns out that sister-in-law doesn't like Xiangfu and likes to eat bran pickled vegetables, okay, I get it."

Yunmo carried the steamed stuffed bun and soy milk back to her room, then went into the kitchen to cook a small pot of white porridge, and steamed the steamed rice buns that hadn't been eaten yesterday.

"Where's the food?"

Seeing that Yunmo hid the steamed stuffed buns and soybean milk, and only gave them porridge and steamed buns, Li Li's face was very ugly.

Yunmo looked at the other party with some surprise, "Is there any food at home? Where is it? Why didn't I see it?"

"Where are the potatoes you burned last night?"


"Did you finish that big pot by yourself?"

"Well, didn't you let me eat it myself, sister-in-law?"

Unwillingly, Li Li ran to Yunmo's room to search around, but she didn't find any potatoes or pork. Turning her head, she saw a blue and white porcelain jar at the foot of the bed. She bent down to open it, but was stopped by Yunmo who followed.

"Sister-in-law, this is my pickled sauerkraut, I can't eat it yet."

Li Li curled her lips, turned her head to look at the steamed buns and soy milk on the wooden table, rolled her eyes, and said with a friendly smile: "Sisters and sisters, my family has a mouthful of fun, and I refuse to eat if there is no food. Anyway, you bought so many steamed buns. If you can't finish eating, give two to Jiale.

(end of this chapter)